Data:
-- begin --
No. 1
# Pr2ErScAs4 (PBE, optimized geometry)
data_Pr2ErScAs4
_cell_length_a 7.1711
_cell_length_b 4.1590
_cell_length_c 7.1948
_cell_angle_alpha 90.00
_cell_angle_beta 109.54
_cell_angle_gamma 90.00
_space_group_name_H-M_alt 'P 1 2/m 1'
_space_group_IT_number 10
loop_
_space_group_symop_operation_xyz
'x,y,z'
'-x,-y,-z'
'-x,y,-z'
'x,-y,z'
loop_
_atom_site_label
_atom_site_type_symbol
_atom_site_fract_x
_atom_site_fract_y
_atom_site_fract_z
Pr1 Pr 0.0000 0.0000 0.0000
Pr2 Pr 0.0000 0.5000 0.5000
Er1 Er 0.5000 0.0000 0.5000
Sc1 Sc 0.5000 0.5000 0.0000
As1 As 0.2680 0.5000 0.2507
As2 As 0.2718 0.0000 0.7625
# Volume, Å³ per atom: 25.3
# ΔH_f (0 K), eV per atom: -1.44
# E_tot, eV per atom: -6.324

---

No. 2
# HfTi4Tl (PBE, optimized geometry)
data_HfTi4Tl
_cell_length_a 6.3466
_cell_length_b 4.8244
_cell_length_c 7.6301
_cell_angle_alpha 90.00
_cell_angle_beta 90.00
_cell_angle_gamma 90.00
_space_group_name_H-M_alt 'P m m a'
_space_group_IT_number 51
loop_
_space_group_symop_operation_xyz
'x,y,z'
'-x,-y,-z'
'-x+1/2,-y,z'
'x+1/2,y,-z'
'x+1/2,-y,-z'
'-x+1/2,y,z'
'-x,y,-z'
'x,-y,z'
loop_
_atom_site_label
_atom_site_type_symbol
_atom_site_fract_x
_atom_site_fract_y
_atom_site_fract_z
Hf1 Hf 0.2500 0.0000 0.1811
Ti1 Ti 0.0000 0.0000 0.5000
Ti2 Ti 0.0069 0.5000 0.8100
Ti3 Ti 0.2500 0.5000 0.4687
Tl1 Tl 0.2500 0.0000 0.8009
# Volume, Å³ per atom: 19.5
# ΔH_f (0 K), eV per atom: 0.22
# E_tot, eV per atom: -7.092

---

No. 3
# ZnSiGe2O (PBE, optimized geometry)
data_ZnSiGe2O
_cell_length_a 4.8242
_cell_length_b 4.8242
_cell_length_c 4.5056
_cell_angle_alpha 90.00
_cell_angle_beta 90.00
_cell_angle_gamma 90.00
_space_group_name_H-M_alt 'P 4/m m m'
_space_group_IT_number 123
_space_group_name_Hall '-P 4 2'
loop_
_atom_site_label
_atom_site_type_symbol
_atom_site_fract_x
_atom_site_fract_y
_atom_site_fract_z
Zn1 Zn 0.0000 0.0000 0.0000
Si1 Si 0.0000 0.0000 0.5000
Ge1 Ge 0.0000 0.5000 0.0000
O1 O 0.5000 0.5000 0.5000
# Volume, Å³ per atom: 21.0
# E_tot, eV per atom: -3.171

---

- Which value of E_tot does entry 1 give?
  -6.324 eV per atom

----------

Entry 1:
Here is crystalline AlSb2Os at its relaxed geometry from Alexandria. Energies are from GGA-PBE.

Output
VASP energy (eV/atom): -5.22
E_form (uncorrected) (eV/atom): 0.585
Symmetry: No. 119

Lattice parameters (Å, degrees): 5.091 5.091 5.091 128.92 128.92 75.13
Positions (direct):
Os (0.750, 0.250, 0.500)
Al (0.500, 0.500, 0.000)
Sb (0.250, 0.750, 0.500)
Sb (0.000, 0.000, 0.000)

=====

Entry 2:
Here is crystalline AlSb2Os at its relaxed geometry from Alexandria. Energies are from GGA-PBE.

Output
VASP energy (eV/atom): -5.63
E_form (uncorrected) (eV/atom): 0.176
Symmetry: No. 65

Lattice parameters (Å, degrees): 4.025 5.827 5.828 48.41 90.00 90.00
Positions (direct):
Sb (0.000, 0.913, 0.913)
Sb (0.000, 0.587, 0.587)
Al (0.500, 0.250, 0.250)
Os (0.500, 0.750, 0.750)

=====

Entry 3:
Here is crystalline AlSb2Os at its relaxed geometry from Alexandria. Energies are from GGA-PBE.

Output
VASP energy (eV/atom): -5.74
E_form (uncorrected) (eV/atom): 0.061
Symmetry: No. 99

Lattice parameters (Å, degrees): 3.221 3.221 8.016 90.00 90.00 90.00
Positions (direct):
Al (0.000, 0.000, 0.549)
Sb (0.000, 0.000, 0.927)
Sb (0.500, 0.500, 0.318)
Os (0.500, 0.500, 0.707)

=====

Entry 4:
Here is crystalline AlSb2Os at its relaxed geometry from Alexandria. Energies are from GGA-PBE.

Output
VASP energy (eV/atom): -5.43
E_form (uncorrected) (eV/atom): 0.370
Symmetry: No. 12

Lattice parameters (Å, degrees): 4.215 4.215 6.848 76.61 76.61 47.49
Positions (direct):
Al (0.750, 0.750, 0.750)
Sb (0.998, 0.998, 0.033)
Sb (0.502, 0.502, 0.467)
Os (0.250, 0.250, 0.250)

=====

Entry 5:
Here is crystalline AlSb2Os at its relaxed geometry from Alexandria. Energies are from GGA-PBE.

Output
VASP energy (eV/atom): -5.68
E_form (uncorrected) (eV/atom): 0.127
Symmetry: No. 8

Lattice parameters (Å, degrees): 4.581 4.581 6.429 78.37 78.37 41.87
Positions (direct):
Al (0.519, 0.519, 0.429)
Sb (0.751, 0.751, 0.676)
-- stop --

Brief:
What is needed: give back the lines above up to the one that holds "0.587)", that line included.

Result:
No. 1
# Pr2ErScAs4 (PBE, optimized geometry)
data_Pr2ErScAs4
_cell_length_a 7.1711
_cell_length_b 4.1590
_cell_length_c 7.1948
_cell_angle_alpha 90.00
_cell_angle_beta 109.54
_cell_angle_gamma 90.00
_space_group_name_H-M_alt 'P 1 2/m 1'
_space_group_IT_number 10
loop_
_space_group_symop_operation_xyz
'x,y,z'
'-x,-y,-z'
'-x,y,-z'
'x,-y,z'
loop_
_atom_site_label
_atom_site_type_symbol
_atom_site_fract_x
_atom_site_fract_y
_atom_site_fract_z
Pr1 Pr 0.0000 0.0000 0.0000
Pr2 Pr 0.0000 0.5000 0.5000
Er1 Er 0.5000 0.0000 0.5000
Sc1 Sc 0.5000 0.5000 0.0000
As1 As 0.2680 0.5000 0.2507
As2 As 0.2718 0.0000 0.7625
# Volume, Å³ per atom: 25.3
# ΔH_f (0 K), eV per atom: -1.44
# E_tot, eV per atom: -6.324

---

No. 2
# HfTi4Tl (PBE, optimized geometry)
data_HfTi4Tl
_cell_length_a 6.3466
_cell_length_b 4.8244
_cell_length_c 7.6301
_cell_angle_alpha 90.00
_cell_angle_beta 90.00
_cell_angle_gamma 90.00
_space_group_name_H-M_alt 'P m m a'
_space_group_IT_number 51
loop_
_space_group_symop_operation_xyz
'x,y,z'
'-x,-y,-z'
'-x+1/2,-y,z'
'x+1/2,y,-z'
'x+1/2,-y,-z'
'-x+1/2,y,z'
'-x,y,-z'
'x,-y,z'
loop_
_atom_site_label
_atom_site_type_symbol
_atom_site_fract_x
_atom_site_fract_y
_atom_site_fract_z
Hf1 Hf 0.2500 0.0000 0.1811
Ti1 Ti 0.0000 0.0000 0.5000
Ti2 Ti 0.0069 0.5000 0.8100
Ti3 Ti 0.2500 0.5000 0.4687
Tl1 Tl 0.2500 0.0000 0.8009
# Volume, Å³ per atom: 19.5
# ΔH_f (0 K), eV per atom: 0.22
# E_tot, eV per atom: -7.092

---

No. 3
# ZnSiGe2O (PBE, optimized geometry)
data_ZnSiGe2O
_cell_length_a 4.8242
_cell_length_b 4.8242
_cell_length_c 4.5056
_cell_angle_alpha 90.00
_cell_angle_beta 90.00
_cell_angle_gamma 90.00
_space_group_name_H-M_alt 'P 4/m m m'
_space_group_IT_number 123
_space_group_name_Hall '-P 4 2'
loop_
_atom_site_label
_atom_site_type_symbol
_atom_site_fract_x
_atom_site_fract_y
_atom_site_fract_z
Zn1 Zn 0.0000 0.0000 0.0000
Si1 Si 0.0000 0.0000 0.5000
Ge1 Ge 0.0000 0.5000 0.0000
O1 O 0.5000 0.5000 0.5000
# Volume, Å³ per atom: 21.0
# E_tot, eV per atom: -3.171

---

- Which value of E_tot does entry 1 give?
  -6.324 eV per atom

----------

Entry 1:
Here is crystalline AlSb2Os at its relaxed geometry from Alexandria. Energies are from GGA-PBE.

Output
VASP energy (eV/atom): -5.22
E_form (uncorrected) (eV/atom): 0.585
Symmetry: No. 119

Lattice parameters (Å, degrees): 5.091 5.091 5.091 128.92 128.92 75.13
Positions (direct):
Os (0.750, 0.250, 0.500)
Al (0.500, 0.500, 0.000)
Sb (0.250, 0.750, 0.500)
Sb (0.000, 0.000, 0.000)

=====

Entry 2:
Here is crystalline AlSb2Os at its relaxed geometry from Alexandria. Energies are from GGA-PBE.

Output
VASP energy (eV/atom): -5.63
E_form (uncorrected) (eV/atom): 0.176
Symmetry: No. 65

Lattice parameters (Å, degrees): 4.025 5.827 5.828 48.41 90.00 90.00
Positions (direct):
Sb (0.000, 0.913, 0.913)
Sb (0.000, 0.587, 0.587)